(Assignment)
Duplicate the material further down from the line with "-2.34 1.99" to the end verbatim.

(Excerpt)
____________
This record from OMol25 describes a 20-piece molecular cluster, C80H220N20O20 overall. The level of theory is wB97M-V/def2-TZVPD.

## Properties
total energy = -157266.114 eV
energy relative to the best compared isomer or geometry (same formula, charge and spin) = 100.5 kcal per mole

Last column: Löwdin charge in e.
Element x y z (Å)
C 2.75 -2.16 6.71  -0.0653
C 3.36 -0.95 6.12  -0.4582
C 3.09 0.41 6.88  -0.1457
O 1.67 0.63 6.87  -0.2086
C 1.36 1.77 7.66  -0.1047
N 4.74 -1.20 5.88  0.0433
H 3.16 -2.51 7.66  0.0932
H 3.03 -2.99 6.06  0.0578
H 1.67 -2.06 6.68  0.0717
H 2.98 -0.84 5.11  0.1169
H 3.61 1.18 6.30  0.1162
H 3.45 0.28 7.90  0.1253
H 0.28 1.96 7.60  0.0707
H 1.86 2.72 7.47  0.0909
H 1.63 1.41 8.65  0.0745
H 5.26 -1.08 6.74  0.0811
H 4.74 -2.16 5.57  0.0614
C -4.15 0.29 -4.69  -0.0503
C -2.72 0.52 -4.23  -0.3832
C -2.34 1.99 -3.77  -0.1708
O -2.65 2.91 -4.78  -0.2151
C -2.45 4.23 -4.38  -0.1027
N -2.53 -0.40 -3.11  0.0570
H -4.17 -0.61 -5.30  0.0578
H -4.56 1.17 -5.20  0.0831
H -4.88 0.16 -3.89  0.0645
H -2.05 0.21 -5.04  0.1030
H -1.29 1.83 -3.55  0.1037
H -2.82 2.32 -2.84  0.1087
H -3.07 4.43 -3.51  0.0676
H -2.68 4.96 -5.16  0.0969
H -1.39 4.33 -4.14  0.0724
H -3.30 -0.26 -2.47  0.0079
H -1.75 -0.12 -2.54  0.0252
C -9.10 3.96 3.36  -0.0755
C -8.55 2.93 2.40  -0.4448
C -7.84 1.74 3.03  -0.1727
O -6.79 2.09 3.93  -0.1819
C -5.60 2.40 3.28  -0.1096
N -9.73 2.60 1.60  0.0206
H -9.53 4.82 2.84  0.0812
H -8.25 4.30 3.96  0.0714
H -9.76 3.51 4.10  0.0846
H -7.90 3.46 1.69  0.1276
H -7.60 1.01 2.27  0.1174
H -8.57 1.27 3.69  0.1274
H -4.88 2.67 4.05  0.0853
H -5.71 3.30 2.66  0.0857
H -5.25 1.53 2.72  0.0696
H -10.07 3.45 1.17  0.0648
H -10.46 2.34 2.24  0.0632
C -2.02 5.76 0.80  -0.0474
C -1.35 5.54 -0.56  -0.4010
C -1.16 4.05 -0.84  -0.1744
O -0.13 3.37 -0.08  -0.2284
C 1.23 3.80 -0.40  -0.0471
N -2.27 6.15 -1.56  0.0512
H -2.98 5.25 0.89  0.0683
H -2.33 6.80 0.90  0.0709
H -1.43 5.57 1.70  0.0679
H -0.38 6.04 -0.58  0.1278
H -0.97 3.94 -1.91  0.1002
H -2.13 3.56 -0.71  0.1019
H 1.55 3.75 -1.44  0.0739
H 1.74 3.00 0.14  0.0789
H 1.56 4.77 -0.01  0.0856
H -2.40 7.08 -1.18  0.0641
H -1.80 6.37 -2.43  0.0653
C -3.76 -0.41 1.04  -0.0469
C -4.84 0.36 0.28  -0.3658
C -4.57 1.87 0.02  -0.2142
O -5.58 2.48 -0.70  -0.1948
C -5.44 3.86 -0.90  -0.0829
N -4.78 -0.17 -1.08  0.0366
H -2.76 -0.36 0.61  0.0521
H -4.08 -1.45 1.13  0.0685
H -3.62 -0.18 2.09  0.0663
H -5.80 0.12 0.73  0.1278
H -3.65 2.07 -0.53  0.1049
H -4.48 2.33 1.00  0.0925
H -5.22 4.27 0.08  0.0738
H -6.46 4.12 -1.20  0.1009
H -4.62 4.14 -1.55  0.0703
H -5.15 0.54 -1.69  0.0617
H -5.35 -1.01 -1.09  0.0911
C -2.35 0.42 -8.00  -0.0581
C -1.22 1.35 -7.75  -0.4518
C -0.31 1.46 -9.01  -0.2017
O 0.13 0.17 -9.24  -0.2158
C 0.86 0.22 -10.44  -0.1079
N -1.74 2.63 -7.39  0.0734
H -2.96 0.72 -8.85  0.0887
H -3.07 0.31 -7.19  0.0604
H -1.99 -0.58 -8.25  0.0698
H -0.68 0.98 -6.88  0.1190
H 0.51 2.10 -8.69  0.1151
H -0.84 1.95 -9.83  0.1349
H 0.27 0.51 -11.31  0.0921
H 1.17 -0.80 -10.64  0.0939
H 1.76 0.83 -10.40  0.0913
H -0.93 3.22 -7.23  0.0348
H -2.12 2.55 -6.46  0.0387
C 0.42 -1.31 9.62  -0.0579
C -0.66 -0.69 10.50  -0.3946
C -0.46 0.74 11.01  -0.1874
O -1.42 1.11 12.01  -0.2006
C -1.33 2.38 12.68  -0.0813
N -1.88 -0.77 9.66  0.0400
H 1.38 -1.38 10.13  0.0790
H 0.59 -0.78 8.68  0.0563
H 0.15 -2.32 9.31  0.0699
H -0.85 -1.25 11.41  0.1355
H -0.42 1.47 10.19  0.1140
H 0.54 0.74 11.45  0.1209
H -1.47 3.24 12.02  0.0852
H -0.36 2.42 13.17  0.0799
H -2.04 2.44 13.50  0.0832
H -2.17 -1.74 9.68  0.0823
H -2.58 -0.25 10.16  0.0423
C 4.07 -5.01 3.65  -0.0569
C 3.79 -4.41 2.31  -0.4483
C 2.90 -5.42 1.53  -0.1704
O 2.49 -4.93 0.28  -0.2282
C 3.53 -4.82 -0.69  -0.0863
N 3.05 -3.21 2.44  0.0670
H 3.23 -5.20 4.33  0.0716
H 4.65 -4.28 4.21  0.0673
H 4.72 -5.87 3.52  0.0874
H 4.66 -4.20 1.68  0.1319
H 1.96 -5.61 2.06  0.1172
H 3.40 -6.37 1.33  0.1259
H 4.23 -4.07 -0.32  0.0694
H 3.18 -4.54 -1.69  0.0669
H 4.11 -5.74 -0.79  0.0940
H 2.32 -3.37 3.11  0.0549
H 2.59 -3.23 1.54  0.0557
____________

(Result)
C -2.34 1.99 -3.77  -0.1708
O -2.65 2.91 -4.78  -0.2151
C -2.45 4.23 -4.38  -0.1027
N -2.53 -0.40 -3.11  0.0570
H -4.17 -0.61 -5.30  0.0578
H -4.56 1.17 -5.20  0.0831
H -4.88 0.16 -3.89  0.0645
H -2.05 0.21 -5.04  0.1030
H -1.29 1.83 -3.55  0.1037
H -2.82 2.32 -2.84  0.1087
H -3.07 4.43 -3.51  0.0676
H -2.68 4.96 -5.16  0.0969
H -1.39 4.33 -4.14  0.0724
H -3.30 -0.26 -2.47  0.0079
H -1.75 -0.12 -2.54  0.0252
C -9.10 3.96 3.36  -0.0755
C -8.55 2.93 2.40  -0.4448
C -7.84 1.74 3.03  -0.1727
O -6.79 2.09 3.93  -0.1819
C -5.60 2.40 3.28  -0.1096
N -9.73 2.60 1.60  0.0206
H -9.53 4.82 2.84  0.0812
H -8.25 4.30 3.96  0.0714
H -9.76 3.51 4.10  0.0846
H -7.90 3.46 1.69  0.1276
H -7.60 1.01 2.27  0.1174
H -8.57 1.27 3.69  0.1274
H -4.88 2.67 4.05  0.0853
H -5.71 3.30 2.66  0.0857
H -5.25 1.53 2.72  0.0696
H -10.07 3.45 1.17  0.0648
H -10.46 2.34 2.24  0.0632
C -2.02 5.76 0.80  -0.0474
C -1.35 5.54 -0.56  -0.4010
C -1.16 4.05 -0.84  -0.1744
O -0.13 3.37 -0.08  -0.2284
C 1.23 3.80 -0.40  -0.0471
N -2.27 6.15 -1.56  0.0512
H -2.98 5.25 0.89  0.0683
H -2.33 6.80 0.90  0.0709
H -1.43 5.57 1.70  0.0679
H -0.38 6.04 -0.58  0.1278
H -0.97 3.94 -1.91  0.1002
H -2.13 3.56 -0.71  0.1019
H 1.55 3.75 -1.44  0.0739
H 1.74 3.00 0.14  0.0789
H 1.56 4.77 -0.01  0.0856
H -2.40 7.08 -1.18  0.0641
H -1.80 6.37 -2.43  0.0653
C -3.76 -0.41 1.04  -0.0469
C -4.84 0.36 0.28  -0.3658
C -4.57 1.87 0.02  -0.2142
O -5.58 2.48 -0.70  -0.1948
C -5.44 3.86 -0.90  -0.0829
N -4.78 -0.17 -1.08  0.0366
H -2.76 -0.36 0.61  0.0521
H -4.08 -1.45 1.13  0.0685
H -3.62 -0.18 2.09  0.0663
H -5.80 0.12 0.73  0.1278
H -3.65 2.07 -0.53  0.1049
H -4.48 2.33 1.00  0.0925
H -5.22 4.27 0.08  0.0738
H -6.46 4.12 -1.20  0.1009
H -4.62 4.14 -1.55  0.0703
H -5.15 0.54 -1.69  0.0617
H -5.35 -1.01 -1.09  0.0911
C -2.35 0.42 -8.00  -0.0581
C -1.22 1.35 -7.75  -0.4518
C -0.31 1.46 -9.01  -0.2017
O 0.13 0.17 -9.24  -0.2158
C 0.86 0.22 -10.44  -0.1079
N -1.74 2.63 -7.39  0.0734
H -2.96 0.72 -8.85  0.0887
H -3.07 0.31 -7.19  0.0604
H -1.99 -0.58 -8.25  0.0698
H -0.68 0.98 -6.88  0.1190
H 0.51 2.10 -8.69  0.1151
H -0.84 1.95 -9.83  0.1349
H 0.27 0.51 -11.31  0.0921
H 1.17 -0.80 -10.64  0.0939
H 1.76 0.83 -10.40  0.0913
H -0.93 3.22 -7.23  0.0348
H -2.12 2.55 -6.46  0.0387
C 0.42 -1.31 9.62  -0.0579
C -0.66 -0.69 10.50  -0.3946
C -0.46 0.74 11.01  -0.1874
O -1.42 1.11 12.01  -0.2006
C -1.33 2.38 12.68  -0.0813
N -1.88 -0.77 9.66  0.0400
H 1.38 -1.38 10.13  0.0790
H 0.59 -0.78 8.68  0.0563
H 0.15 -2.32 9.31  0.0699
H -0.85 -1.25 11.41  0.1355
H -0.42 1.47 10.19  0.1140
H 0.54 0.74 11.45  0.1209
H -1.47 3.24 12.02  0.0852
H -0.36 2.42 13.17  0.0799
H -2.04 2.44 13.50  0.0832
H -2.17 -1.74 9.68  0.0823
H -2.58 -0.25 10.16  0.0423
C 4.07 -5.01 3.65  -0.0569
C 3.79 -4.41 2.31  -0.4483
C 2.90 -5.42 1.53  -0.1704
O 2.49 -4.93 0.28  -0.2282
C 3.53 -4.82 -0.69  -0.0863
N 3.05 -3.21 2.44  0.0670
H 3.23 -5.20 4.33  0.0716
H 4.65 -4.28 4.21  0.0673
H 4.72 -5.87 3.52  0.0874
H 4.66 -4.20 1.68  0.1319
H 1.96 -5.61 2.06  0.1172
H 3.40 -6.37 1.33  0.1259
H 4.23 -4.07 -0.32  0.0694
H 3.18 -4.54 -1.69  0.0669
H 4.11 -5.74 -0.79  0.0940
H 2.32 -3.37 3.11  0.0549
H 2.59 -3.23 1.54  0.0557